Your job: start at the top of the block underneath and echo each line, ending with the one that has "0.81473 -4.12940".

- - -
No. 1
9
Properties=species:S:1:pos:R:3:forces:R:3:lowdin_charge:R:1 method="wB97M-V/def2-TZVPD" lumo_energy_ev=-0.3 spin_multiplicity=1 smiles="[H]/N=C/C#N.C#N" mol_weight_g_mol=81.078 max_force_ev_per_a=1.2 de_lowest_kcal_mol=42.4 gap_ha=0.411 charge=0
H 0.776601 2.285750 -0.782606 -0.218 -0.049 0.387 0.0663
N 1.310318 1.424011 -0.825313 0.364 0.087 -0.622 0.1307
C 1.139179 0.612246 0.116305 -0.800 0.746 0.482 -0.2637
C 1.846165 -0.624628 0.098816 0.375 -0.548 -0.050 -0.2152
N 2.389286 -1.632213 0.112924 0.142 -0.355 0.053 0.1658
H 0.474920 0.735398 0.985218 0.115 0.146 -0.254 0.1132
C -2.625870 -0.947315 0.108690 0.405 -0.396 0.336 -0.0961
N -3.364871 -0.285045 -0.446953 -0.567 0.574 -0.453 0.0560
H -1.945726 -1.568206 0.632922 0.184 -0.204 0.120 0.0430

---

No. 2
44
Properties=species:S:1:pos:R:3:forces:R:3:lowdin_charge:R:1 method="wB97M-V/def2-TZVPD" lumo_energy_ev=2.7 spin_multiplicity=1 mol_weight_g_mol=295.331 max_force_ev_per_a=7.4 de_lowest_kcal_mol=156.8 gap_ha=0.249 charge=-1
O 2.214926 -1.803913 -0.501122 0.008 -1.969 -1.720 0.0026
C 2.506734 -0.528171 -0.932585 2.776 0.564 5.230 -0.5312
N 2.274933 0.214593 0.501488 1.052 0.095 -4.066 0.0673
C 1.248938 1.200176 0.302379 -1.364 0.848 -0.501 -0.3626
N 0.064328 0.705176 0.959094 -2.697 -0.004 -5.015 0.0124
C 2.018074 -0.003130 -2.225569 0.213 0.424 -0.709 -0.2431
C 0.601166 -0.211652 -2.617273 -2.289 -1.412 -1.423 -0.6135
S -0.700104 1.093172 -2.289681 0.337 -0.170 0.131 0.3750
H 1.961648 -0.483852 1.183948 0.278 0.270 -0.582 0.0721
H 0.854623 1.304714 -0.747190 0.910 -0.395 0.778 -0.0290
H 1.534524 2.244943 0.515838 0.139 -0.561 0.858 0.0988
H -0.913818 0.867514 0.475178 2.877 0.329 1.223 0.0898
H 0.061101 0.657935 1.896803 -0.251 0.199 3.672 -0.0078
H 2.271287 1.033410 -2.265981 0.379 0.925 0.003 0.1121
H 2.735839 -0.481194 -2.900545 -0.404 -0.071 -0.327 0.1271
H 0.440107 -0.326728 -3.795990 0.804 -0.415 2.695 0.0880
H 0.371395 -1.160625 -2.015092 -0.427 0.872 -1.451 0.0622
H -0.247335 -0.878305 0.366650 -2.574 -1.398 0.077 0.1172
H -0.949271 -2.522611 0.022677 -0.611 3.305 0.395 0.1276
O -1.172634 -1.529713 0.264856 3.181 -1.663 -0.130 -0.2185
H -3.268079 0.466878 -0.958833 0.447 1.764 -2.446 -0.0302
H -2.349958 -0.496536 -0.083636 -2.899 0.609 -0.571 0.0605
O -3.337483 -0.036492 -0.196934 2.282 -2.976 3.000 -0.1165
H 0.645574 3.140877 -1.138595 -0.121 1.538 0.309 -0.0112
H -0.296804 3.690622 -0.153626 0.573 0.600 -0.196 0.0300
O 0.522090 3.988824 -0.605920 -0.744 -1.802 -0.448 -0.1378
H -0.817736 -2.442496 2.333173 -0.626 -0.717 1.701 0.0510
H -1.088909 -1.386799 3.167193 -0.973 2.001 0.707 -0.0844
O -0.988032 -2.303178 3.322562 0.260 -2.985 -2.600 -0.1001
H 4.300294 0.180666 -0.467351 -0.909 -2.308 -1.742 0.1429
H 2.877940 -2.354683 -0.974946 -0.723 0.077 0.483 0.1242
O 3.977524 -0.557749 -1.127825 0.082 2.671 2.189 -0.0833
H -2.198722 0.523822 2.713274 0.030 0.336 -0.339 0.0485
H -1.559826 0.502808 4.054086 -0.266 0.679 2.154 0.0581
O -1.418662 0.181409 3.197688 -0.210 0.236 -1.348 -0.0410
H -2.902285 2.351516 1.520142 2.800 3.849 -2.371 -0.0465
H -3.466998 0.822381 1.124594 0.572 2.503 0.176 0.0593
O -3.353067 1.644150 1.791195 -3.357 -6.261 2.070 -0.0832
H 1.006309 -1.874843 2.813725 -0.404 0.748 0.802 0.0467
H 0.440006 -0.580853 3.505147 -1.642 0.444 0.171 -0.0350
O 1.205673 -1.063091 3.309534 3.491 -0.701 -0.697 -0.0465
H -3.172355 -1.474529 -2.649622 -5.165 2.410 0.335 -0.0590
H -1.802570 -1.246881 -2.228556 -0.066 -0.130 -0.408 -0.0472
O -2.386412 -1.863950 -2.711954 5.232 -2.361 -0.065 -0.0457

~~~~~

[1]
Computed, not measured: C42H53CaN3O2SSe as an isolated structure, with the ωB97M-V functional and the def2-TZVPD basis.

Positions of all 103 atoms, in Å:
C 2.25434 -3.47847 -3.28444
C 1.13139 -1.66431 2.39462
C -2.23901 2.67192 -0.26347
C 0.81473 -4.12940 0.34213
H -1.71088 -2.26003 3.15267
C -1.30649 -2.03735 4.14182
H 4.34652 -2.18223 1.30712
H 5.97053 -4.37421 5.04911
H 4.07898 -5.87662 2.19102
H 4.34384 -2.18669 -0.99765
- - -

No. 1
9
Properties=species:S:1:pos:R:3:forces:R:3:lowdin_charge:R:1 method="wB97M-V/def2-TZVPD" lumo_energy_ev=-0.3 spin_multiplicity=1 smiles="[H]/N=C/C#N.C#N" mol_weight_g_mol=81.078 max_force_ev_per_a=1.2 de_lowest_kcal_mol=42.4 gap_ha=0.411 charge=0
H 0.776601 2.285750 -0.782606 -0.218 -0.049 0.387 0.0663
N 1.310318 1.424011 -0.825313 0.364 0.087 -0.622 0.1307
C 1.139179 0.612246 0.116305 -0.800 0.746 0.482 -0.2637
C 1.846165 -0.624628 0.098816 0.375 -0.548 -0.050 -0.2152
N 2.389286 -1.632213 0.112924 0.142 -0.355 0.053 0.1658
H 0.474920 0.735398 0.985218 0.115 0.146 -0.254 0.1132
C -2.625870 -0.947315 0.108690 0.405 -0.396 0.336 -0.0961
N -3.364871 -0.285045 -0.446953 -0.567 0.574 -0.453 0.0560
H -1.945726 -1.568206 0.632922 0.184 -0.204 0.120 0.0430

---

No. 2
44
Properties=species:S:1:pos:R:3:forces:R:3:lowdin_charge:R:1 method="wB97M-V/def2-TZVPD" lumo_energy_ev=2.7 spin_multiplicity=1 mol_weight_g_mol=295.331 max_force_ev_per_a=7.4 de_lowest_kcal_mol=156.8 gap_ha=0.249 charge=-1
O 2.214926 -1.803913 -0.501122 0.008 -1.969 -1.720 0.0026
C 2.506734 -0.528171 -0.932585 2.776 0.564 5.230 -0.5312
N 2.274933 0.214593 0.501488 1.052 0.095 -4.066 0.0673
C 1.248938 1.200176 0.302379 -1.364 0.848 -0.501 -0.3626
N 0.064328 0.705176 0.959094 -2.697 -0.004 -5.015 0.0124
C 2.018074 -0.003130 -2.225569 0.213 0.424 -0.709 -0.2431
C 0.601166 -0.211652 -2.617273 -2.289 -1.412 -1.423 -0.6135
S -0.700104 1.093172 -2.289681 0.337 -0.170 0.131 0.3750
H 1.961648 -0.483852 1.183948 0.278 0.270 -0.582 0.0721
H 0.854623 1.304714 -0.747190 0.910 -0.395 0.778 -0.0290
H 1.534524 2.244943 0.515838 0.139 -0.561 0.858 0.0988
H -0.913818 0.867514 0.475178 2.877 0.329 1.223 0.0898
H 0.061101 0.657935 1.896803 -0.251 0.199 3.672 -0.0078
H 2.271287 1.033410 -2.265981 0.379 0.925 0.003 0.1121
H 2.735839 -0.481194 -2.900545 -0.404 -0.071 -0.327 0.1271
H 0.440107 -0.326728 -3.795990 0.804 -0.415 2.695 0.0880
H 0.371395 -1.160625 -2.015092 -0.427 0.872 -1.451 0.0622
H -0.247335 -0.878305 0.366650 -2.574 -1.398 0.077 0.1172
H -0.949271 -2.522611 0.022677 -0.611 3.305 0.395 0.1276
O -1.172634 -1.529713 0.264856 3.181 -1.663 -0.130 -0.2185
H -3.268079 0.466878 -0.958833 0.447 1.764 -2.446 -0.0302
H -2.349958 -0.496536 -0.083636 -2.899 0.609 -0.571 0.0605
O -3.337483 -0.036492 -0.196934 2.282 -2.976 3.000 -0.1165
H 0.645574 3.140877 -1.138595 -0.121 1.538 0.309 -0.0112
H -0.296804 3.690622 -0.153626 0.573 0.600 -0.196 0.0300
O 0.522090 3.988824 -0.605920 -0.744 -1.802 -0.448 -0.1378
H -0.817736 -2.442496 2.333173 -0.626 -0.717 1.701 0.0510
H -1.088909 -1.386799 3.167193 -0.973 2.001 0.707 -0.0844
O -0.988032 -2.303178 3.322562 0.260 -2.985 -2.600 -0.1001
H 4.300294 0.180666 -0.467351 -0.909 -2.308 -1.742 0.1429
H 2.877940 -2.354683 -0.974946 -0.723 0.077 0.483 0.1242
O 3.977524 -0.557749 -1.127825 0.082 2.671 2.189 -0.0833
H -2.198722 0.523822 2.713274 0.030 0.336 -0.339 0.0485
H -1.559826 0.502808 4.054086 -0.266 0.679 2.154 0.0581
O -1.418662 0.181409 3.197688 -0.210 0.236 -1.348 -0.0410
H -2.902285 2.351516 1.520142 2.800 3.849 -2.371 -0.0465
H -3.466998 0.822381 1.124594 0.572 2.503 0.176 0.0593
O -3.353067 1.644150 1.791195 -3.357 -6.261 2.070 -0.0832
H 1.006309 -1.874843 2.813725 -0.404 0.748 0.802 0.0467
H 0.440006 -0.580853 3.505147 -1.642 0.444 0.171 -0.0350
O 1.205673 -1.063091 3.309534 3.491 -0.701 -0.697 -0.0465
H -3.172355 -1.474529 -2.649622 -5.165 2.410 0.335 -0.0590
H -1.802570 -1.246881 -2.228556 -0.066 -0.130 -0.408 -0.0472
O -2.386412 -1.863950 -2.711954 5.232 -2.361 -0.065 -0.0457

~~~~~

[1]
Computed, not measured: C42H53CaN3O2SSe as an isolated structure, with the ωB97M-V functional and the def2-TZVPD basis.

Positions of all 103 atoms, in Å:
C 2.25434 -3.47847 -3.28444
C 1.13139 -1.66431 2.39462
C -2.23901 2.67192 -0.26347
C 0.81473 -4.12940 0.34213